All: Proven: The power of data-driven advocacy to protect children

Girl reading book

How can we keep kids safe with only $0.09 of U.S. foreign assistance budgeted towards child wellbeing?

To ensure the continued leadership and influence of the U.S. in the prevention of and response to violence against children globally, we are requesting at least $10million in funding to support VACS directed by CDC to meet the demand across a more comprehensive geographic range of implementation relevant to U.S. foreign assistance priorities.

  • 26th September 2024
School children kenya

Youth voices are critical in new evidence on the epidemiology of violence, and how we can prevent it

Participants from the Data to Action research course reflect on the lessons from utilising Violence Against Children and Youth Survey data to generate new research on violence in 4 VACS countries.

  • 20th May 2024
Nepalese girls smiling

How a decade of data is leading solutions to keep children safe

Change is possible, and violence is preventable. By implementing evidence-based policies and targeted interventions we can end violence against children.

  • 19th April 2024
Trezar daughter DREAMS

Why investing in preventing childhood sexual violence is the right thing, and the smart thing

Investing in ending childhood sexual violence is the right thing to do, and we must protect kids and support those who have experienced this horrible trauma. Globally, policy and decision makers can save billions investing in preventing child sexual abuse. The returns on investment would cut across physical and mental health, labor, judicial, and other sectors.

These materials data were left in the text by mistake >
____________
Record 1
This record from OQMD via LeMat-Bulk describes a relaxed structure of AcHfAu. The functional is GGA-PBE.

Computed properties:
For the energy of formation from the pure elements, the calculation gives 79.32 kJ per mole of atoms. The raw total energy is -4.95 eV/atom.

Structure (CIF):
```
data_AcHfAu
_chemical_formula_sum 'Ac4 Hf4 Au4'
_space_group_name_H-M_alt 'F -4 3 m'
_space_group_IT_number 216
_space_group_name_Hall 'F -4 2 3'
_cell_length_a 7.134
_cell_length_b 7.134
_cell_length_c 7.134
_cell_angle_alpha 90.00
_cell_angle_beta 90.00
_cell_angle_gamma 90.00
loop_
_atom_site_label
_atom_site_fract_x
_atom_site_fract_y
_atom_site_fract_z
Ac1 0.000 0.000 0.000
Hf1 0.250 0.250 0.250
Au1 0.250 0.250 0.750
```



Record 2
This record from OQMD via LeMat-Bulk describes a relaxed structure of BaHf2Mo. The functional is GGA-PBE.

Computed properties:
The raw total energy is -7.18 eV/atom.

Structure (CIF):
```
data_BaHf2Mo
_chemical_formula_sum 'Ba4 Hf8 Mo4'
_space_group_name_H-M_alt 'F -4 3 m'
_space_group_IT_number 216
_space_group_name_Hall 'F -4 2 3'
_cell_length_a 7.219
_cell_length_b 7.219
_cell_length_c 7.219
_cell_angle_alpha 90.00
_cell_angle_beta 90.00
_cell_angle_gamma 90.00
loop_
_atom_site_label
_atom_site_fract_x
_atom_site_fract_y
_atom_site_fract_z
Ba1 0.000 0.000 0.000
Hf1 0.000 0.000 0.500
Hf2 0.250 0.250 0.750
Mo1 0.250 0.250 0.250
```



Record 3
This record from OQMD via LeMat-Bulk describes a relaxed structure of Zr5Be. The functional is GGA-PBE.

Computed properties:
The raw total energy is -6.90 eV/atom.

Structure (CIF):
```
data_Zr5Be
_chemical_formula_sum 'Zr5 Be1'
_space_group_name_H-M_alt 'P 6/m m m'
_space_group_IT_number 191
_space_group_name_Hall '-P 6 2'
_cell_length_a 5.7734
_cell_length_b 5.7734
_cell_length_c 4.9999
_cell_angle_alpha 90.00
_cell_angle_beta 90.00
_cell_angle_gamma 120.00
loop_
_atom_site_label
_atom_site_fract_x
_atom_site_fract_y
_atom_site_fract_z
Zr1 0.0000 0.5000 0.0000
Zr2 0.3333 0.6667 0.5000
Be1 0.0000 0.0000 0.5000
```



Q: Which value of raw total energy does entry 3 give?
A: -6.90 eV/atom



Q: Among the records above, which one has the lowest raw total energy?
A: BaHf2Mo



Q: Look up the raw total energy of the first one.
A: -4.95 eV/atom



Q: Which value of raw total energy does entry 2 give?
A: -7.18 eV/atom


Below is crystalline Ce2Cd3In at its relaxed geometry, with properties calculated at the GGA-PBE level.

Cell lengths 3.341, 5.130, 8.880 Å; angles 90.00, 90.00, 90.00 degrees
Atoms (fractional coordinates):
1 Cd 0.500 0.000 0.832
2 In 0.500 0.500 0.334
3 Ce 0.000 0.000 0.500
4 Cd 0.500 0.500 0.670
5 Ce 0.000 0.500 0.000
6 Cd 0.500 0.000 0.163

Values from the calculation:
Crystal system: orthorhombic
DOS(E_F) (states/eV/atom): 2.18
Formation energy from the elements (eV per atom): -0.287
Relative energy among the computed polymorphs (meV/atom): 2.8

***

Below is crystalline CeCd4In2 at its relaxed geometry, with properties calculated at the GGA-PBE level.
____________
The text goes on >

  • 11th September 2023
Youth data

How are youth activists using data to fight gender-based violence?

What are the current pathways for youth participation in research? To end gender-based violence issues of intersectionality must be addressed. Critically, all strategies for using data on these intersectional issues must prioritize youth and survivor voices. This is particularly true in both development and humanitarian contexts.

  • 6th July 2023
Health ministers in East, Central, and Southern Africa pass resolution to end violence against children

Health ministers in East, Central, and Southern Africa pass resolution to end violence against children

A recent ECSA-HC resolution prioritizing evidence-based action to stop childhood violence is a milestone for the sector with far-reaching implications for the region.

  • 4th April 2023
Daniela Ligiero

The power of saying “I am a survivor”

Daniela Ligiero, survivor of childhood sexual violence, explains how she uses her story to change perceptions about childhood violence and create a safer world for future generations.

  • 23rd March 2023
cote d'ivoire blog vision of long lasting change

A vision for long lasting change in Côte d’Ivoire

Together for Girls is promoting meaningful partnerships amongst local agencies to catalyze full scale support for children.

  • 28th March 2022
Cote d Ivoire Afrobaromoter

Gender norms, education, and violence against girls and women: Lessons from Côte d’Ivoire

For decades, advocates and researchers have stressed the need to collect more data on both violence against children and violence against women and have pushed to make sure data is disaggregated by sex, age and geography.

  • 27th September 2021
  • EN, FR
Child smiling in a red shirt Uganda

Pioneering the prevention of violence against children in Uganda

In 2015, Uganda’s commitment to implementing the Violence Against Children Surveys (VACS) was motivated by limited pre-existing nationwide data on the prevalence and magnitude of violence against children.

  • 26th July 2021
Together for Girls logo

Data-driven advocacy for safe and gender equitable schools

“Social Responsibility within Changing Contexts” was the 2021 conference theme for the Comparative and International Education Society (CIES). CIES is dedicated to increasing understanding of educational issues, trends, and policies through comparative, intercultural, and international perspectives.

  • 21st May 2021
Girls reading at school

The gendered reality of corporal punishment in schools

Social norms drive gender inequalities and violence, and even though access to education is a human right, learners across the globe are impacted by school-related gender-based violence.

  • 30th April 2021